Looking to understand the finer details of cloning


New Member
First time round I took 5 pieces of very new growth from the near the bottom of my plant which had been preflowering for around 2 weeks and is a female. I intended to use rooting hormone but found it wasn't stocked currently in my town. I did one cut, then carefully lowered the piece into water so the leaves were floating on the surface with the stem submerged, and did a second. They all went into jiffy plugs which are sat in soil with domes made from bottle tops on them. I've been giving them an air out every few hours. They all wilted at first and are now in varying degrees of perkiness. I have been able to have the dome off for extended periods with little to no wilt, which I was unable to do initially. I am hoping this is a good sign.

I've since been gifted some rooting hormone. It's a liquid in a small container. Says its some organic stuff with fungicide. I knew the cuts could root without it but I was worried about the stems rotting.

Light - I don't have anything particularly suitable. I've got my main which is a 400w hps but I see little point running it yet if the cuts aren't even interested in photosynthesis. Would a standard fluorescent bulb, say with a 100w light output, be a suitable choice for cuttings? If so is there any particular time scheme to follow? Do they even need light?


Well-Known Member
So you call whether they need light or not...a finer detail?

Next to the article, the page also holds data records
........
w.
This record from the OMol25 dataset describes an isolated ion of composition C2H8NS2 and charge +1. The level of theory is wB97M-V/def2-TZVPD.

CARTESIAN COORDINATES (ANGSTROEM)
C 2.50 -1.32 -0.65
S 1.79 -0.33 0.77
S 0.64 1.12 0.06
C -1.27 0.45 -0.26
N -2.01 0.97 0.88
H 3.21 -1.97 -0.20
H 3.02 -0.67 -1.25
H 1.67 -1.66 -1.21
H -1.35 -0.56 -0.26
H -1.67 0.76 -1.21
H -2.22 1.92 0.62
H -2.96 0.41 1.01
H -1.36 0.90 1.69

Calculated values
HOMO energy = -13.08 eV
Total charge = +1
HOMO-LUMO gap = 9.20 eV
SMILES string = CSSC[NH3+]

---

x.
This record from the OMol25 dataset describes a 2-piece molecular cluster, C2H8NS2 overall. The level of theory is wB97M-V/def2-TZVPD.

CARTESIAN COORDINATES (ANGSTROEM)
C 0.86 -1.01 0.40
C 1.39 0.32 -0.28
N 1.03 1.42 0.25
S -3.32 -0.63 -0.19
S -1.83 0.82 0.18
H 0.97 -1.77 -0.33
H -0.26 -0.76 0.59
H 1.40 -1.17 1.35
H 1.78 0.15 -1.27
H -1.34 0.46 -0.92
H 1.12 2.29 -0.25
H 0.92 1.47 1.31
H -2.72 -1.59 -0.84

Calculated values
HOMO energy = -12.44 eV
Total charge = +1
HOMO-LUMO gap = 6.98 eV

---

y.
This record from the OMol25 dataset describes an isolated ion of composition C2H8NS2 and charge +1. The level of theory is wB97M-V/def2-TZVPD.

CARTESIAN COORDINATES (ANGSTROEM)
N -0.82 0.10 -1.82
C -0.45 -0.62 -0.53
C 0.17 0.31 0.47
S 0.28 -0.59 2.04
S 1.56 0.70 3.04
H -0.98 1.10 -1.62
H -1.74 -0.20 -2.15
H -0.09 0.04 -2.52
H 0.23 -1.43 -0.80
H -1.35 -1.11 -0.13
H 1.12 0.69 0.08
H -0.46 1.19 0.65
H 2.53 -0.18 3.30

Calculated values
HOMO energy = -12.34 eV
Total charge = +1
HOMO-LUMO gap = 8.31 eV
SMILES string = [NH3+]CCSS

---

Computed stability ranking, most favorable first: y, w, x

---

w.
This record from the OMol25 dataset describes a 2-piece molecular cluster, C5H8NO overall. The level of theory is wB97M-V/def2-TZVPD.

CARTESIAN COORDINATES (ANGSTROEM)
C 3.43 -0.82 0.53
C 2.67 -0.30 -0.46
C 1.76 0.70 -0.25
C 0.83 1.52 -0.06
C -3.63 -0.53 -0.12
N -2.33 -0.04 -0.32
O -1.73 0.51 0.58
H 4.15 -1.60 0.33
H 3.34 -0.49 1.55
H 2.79 -0.65 -1.48
H -0.21 1.12 0.18
H 0.83 2.60 -0.05
H -4.26 -0.03 -0.86
H -4.02 -0.42 0.89
H -3.62 -1.58 -0.45

Calculated values
HOMO energy = -13.13 eV
Total charge = +1
HOMO-LUMO gap = 6.76 eV

---

x.
This record from the OMol25 dataset describes an isolated ion of composition C5H8NO and charge +1. The level of theory is wB97M-V/def2-TZVPD.

CARTESIAN COORDINATES (ANGSTROEM)
C 1.30 2.84 -1.26
C 0.46 2.08 -0.54
C 0.60 0.71 -0.28
C -0.39 0.03 0.28
N -0.20 -1.64 0.30
C -1.11 -2.50 1.09
O 0.63 -2.10 -0.41
H 0.95 3.82 -1.52
H 2.18 2.26 -1.73
H -0.41 2.53 0.12
H 1.48 0.14 -0.64
H -1.43 0.30 0.67
H -1.71 -3.08 0.29
H -1.75 -2.14 1.90
H -0.60 -3.25 1.73

Calculated values
HOMO energy (spin up / spin down) = -13.84 / -13.84 eV
Total charge = +1
HOMO-LUMO gap (spin up / spin down) = 7.13 / 7.13 eV
SMILES string = C=C/C=C/[N+](C)=O

---

Computed stability ranking, most favorable first: x, w

---

w.
........

You're a total cloning nube and need to read up. Use the internet...all 4 Cervantes cloning vids are on youtube.
Yeah watch a couple youtube videos so you at least know the basics. Also, if you try again don't dip the clones in the hormone tub, use a separate container or a knife that stuff will get contaminated and grow bacteria right away. A 100 watt cfl should be fine, they don't need a lot of light. And it's better to take clones when the plant is in veg, not after sexing. Sex the clones not the main plant, that way if it's female you can take more and they won't take forever to root.

If you can get your hands on some canna bio rhizotonic, that stuff works wonders if you soak the plugs in a 2ml/gal solution as well
Although by far the best way to clone is get an ez cloner or an oxy clone or something. Use a rhizotonic and pure pH'd water solution and you'll see roots in a matter of days. No humidity dome required. In fact, even if you're using plugs don't keep them in a dome for more than a few days, and don't spray them constantly either.


Well-Known Member
I use rapid rooters set into soil in solocups, haven't lost a clone yet. I fill the tray with about 1/4" of water with some dilute rooting hormone and a kelp additive. Of course I dip the clones in rooting powder first. I let the water in the tray slowly evaporate to slowly reduce the humidity and force rooting. I only put a 24" flouro on top of the dome in my veg room, I also have the tray sitting on a heat mat.

I mist them once a day lightly for the first couple days then just mist the dome to raise humidity after day 4 or so. Take the dome off for at least 30 minutes a day for the first few days. open the vents totally after 3-4 days. Your lighting will be fine.


New Member
Comes on forum for growing weed, posts in newbie central and still finds that there's always that one person who has to rub their superiority in your face. I'm trying to learn, that's why I'm inquiring about the methods I'm using. Thanks to those that gave info.


Well-Known Member
I gave you advice. Read a book...watch some videos. I feel it's your responsibility to do that...and then if you have a serious question, it will get answered.

But if you want to be spoon fed, I believe I have some pablum around here...open wide...

== Unrelated to this page: calculated molecules ==
-- begin --
1.
Here is a cluster of 16 separate species, C4H41N2O15 in total in a non-equilibrium geometry from the OMol25 dataset. Energies are from ωB97M-V with the def2-TZVPD basis set.

XYZ file:
```
62
C4H41N2O15 (ωB97M-V with the def2-TZVPD basis set)
C -1.67 4.38 1.29
C -2.83 3.53 0.73
C -2.44 2.06 0.63
N 0.12 1.11 -0.02
C -0.63 1.44 -1.06
N -1.89 1.96 -0.78
H -1.91 4.71 2.35
H -0.86 3.90 1.03
H -1.59 5.34 0.85
H -3.24 3.85 -0.22
H -3.81 3.62 1.46
H -3.37 1.48 0.82
H -1.60 1.70 1.29
H 1.08 0.64 -0.06
H -0.30 0.97 0.95
H -0.47 1.42 -2.13
H -2.66 2.01 -1.37
H -4.32 2.12 -3.26
H -3.69 0.81 -3.26
O -3.53 1.72 -2.96
H -0.45 0.39 -3.26
H -1.06 -0.17 -4.49
O -0.71 0.62 -4.15
H 2.37 -4.46 1.24
H 1.01 -4.51 1.68
O 1.87 -4.08 1.89
H -5.44 -0.20 -0.34
H -4.86 -1.66 -0.37
O -4.64 -0.77 -0.14
H -0.21 -1.15 -1.51
H 1.38 -1.26 -1.26
O 0.69 -0.78 -1.72
H 1.37 -0.20 -5.02
H 1.13 -1.40 -4.06
O 1.39 -1.19 -4.88
H -2.68 -0.87 -0.09
H -1.29 -1.27 0.91
O -1.77 -0.82 0.25
H 3.48 -1.15 -0.01
H 3.00 -2.55 0.50
O 2.71 -1.61 0.40
H 1.28 -3.51 4.62
H 2.21 -2.62 4.04
O 1.86 -2.79 4.92
H 2.06 0.83 2.77
H 2.22 -0.45 2.07
O 1.56 0.37 2.17
H 1.28 3.40 -0.58
H 1.00 4.64 0.17
O 0.88 4.23 -0.72
H 2.37 -4.97 -1.03
H 3.86 -4.38 -0.88
O 3.12 -4.81 -0.47
H 3.34 -2.68 -2.86
H 2.44 -3.89 -3.10
O 2.57 -3.11 -2.59
H -0.19 0.95 2.48
H -0.58 0.54 3.88
O -0.97 0.84 3.09
H 4.35 -0.48 2.71
H 3.97 -1.03 4.19
O 3.72 -0.81 3.24
```

HOMO energy = -12.7 eV
Relative energy (zero: lowest compared OMol25 entry of this formula, charge and spin) = 155.21 kcal per mole
Electronic energy = -38497.317 eV
LUMO = -2.66 eV
Total charge = +1
Spin multiplicity = 1
Gap between HOMO and LUMO = 10.05 eV

***

2.
Here is a cluster of 6 separate species, C6H24NO6 in total in a non-equilibrium geometry from the OMol25 dataset. Energies are from ωB97M-V with the def2-TZVPD basis set.

XYZ file:
```
37
C6H24NO6 (ωB97M-V with the def2-TZVPD basis set)
C -0.48 -2.06 0.70
C 0.43 -3.12 1.26
C -0.18 -0.57 0.87
N 0.65 -0.12 -0.32
C 0.89 -0.62 -2.71
C -0.09 -0.06 -1.58
C -0.31 1.39 -2.15
O -0.20 2.41 -1.16
H -0.66 -2.30 -0.36
H -1.48 -2.22 1.15
H 0.48 -2.97 2.37
H 1.43 -3.14 0.87
H -0.07 -4.08 1.13
H 0.31 -0.46 1.84
H -1.05 0.08 0.84
H 0.91 0.86 -0.14
H 1.70 0.10 -2.84
H 0.40 -0.68 -3.68
H 1.30 -1.59 -2.41
H -1.05 -0.60 -1.34
H -1.10 1.38 -2.91
H 0.54 1.67 -2.77
H 2.89 -1.86 1.42
H 4.07 -2.39 0.70
O 3.73 -2.30 1.59
H -0.83 2.37 -0.29
H -1.48 3.49 1.19
O -1.59 2.56 0.97
H 2.71 -1.07 -0.45
H 3.58 -0.39 -1.16
O 3.56 -1.31 -0.86
H -1.88 1.57 2.49
H -3.35 1.26 2.51
O -2.54 1.01 2.97
H -2.89 2.49 0.40
H -3.91 2.07 -0.90
O -3.87 2.47 -0.03
```

HOMO energy = -5.8 eV
Relative energy (zero: lowest compared OMol25 entry of this formula, charge and spin) = 35.23 kcal per mole
Electronic energy = -20387.001 eV
LUMO = 3.16 eV
Total charge = -1
Spin multiplicity = 1
Gap between HOMO and LUMO = 8.99 eV

***

3.
-- stop --


Well-Known Member
cutting taking root is a natural process that most plant cuttings will do on there own and has been utilized by human farmers for centuries. All that is needed is to make the proper cut and provide the right environment for it to happen and nature will take care of the rest. some strains are easier to clone then others due to variation in genetics. Rooting hormones definatly make the process more reliable but it is entirely possible to root cuttings without it. The clones really don't need a lot of light to root so ur 23w flurosent should be fine for just 5 clones, really the less light the better is preferable because you don't want the clone to start vegging before it establishes its root structure, u want it to get just enough energy to grow its root system but light should be constant 20-24hours a day. its important to mist your clones often until roots start to develop as they will be unable to draw up enough water to survive on there own and misting there leaves allows them to take water in through there stoma. you will see roots withing 7 days to 2 weeks if you've provided a proper enviroment


New Member
I have read up on the subject and found a fairly blanket method everywhere I looked. It's not a complicated process really, is it. I just need better info on the aftercare and not just the process of taking the cutting. I got what I wanted here. My cuts seem happy so far.


Well-Known Member
Lazed wrote: I have read up on the subject and found a fairly blanket method everywhere I looked. It's not a complicated process really, is it.
Yes it is...that's why there several new threads daily asking for cloning help. There are multiple steps and something can go wrong at any stage.

_Inserted here: records of molecules_
'''
Record 1
The following is a DFT calculation (ωB97M-V/def2-TZVPD) of C32H59BHfN10S3Si as an isolated structure at a distorted geometry.

Each line ends with the Mulliken charge.
Geometry (Å):
Hf1 -0.401 0.389 -0.317  -0.349
C1 3.966 2.793 2.219  -1.371
C2 4.481 1.519 1.541  1.171
C3 5.890 1.171 2.034  -1.684
C4 4.541 1.733 0.033  -2.046
N1 3.572 0.420 1.930  0.630
C5 3.507 0.018 3.241  -0.353
C6 2.615 -0.991 3.323  -1.449
N2 2.108 -1.224 2.073  0.177
B1 1.229 -2.485 1.847  1.384
N3 -0.188 -2.347 2.431  0.052
C7 -0.896 -3.475 2.750  -1.325
C8 -2.031 -3.099 3.373  -0.379
N4 -2.034 -1.727 3.461  0.516
C9 -0.909 -1.287 2.850  0.137
S1 -0.404 0.319 2.551  -0.209
C10 -3.144 -1.032 4.145  1.325
C11 -4.403 -1.229 3.296  -1.428
C12 -2.869 0.456 4.328  -2.216
C13 -3.333 -1.654 5.532  -1.727
N5 1.199 -2.927 0.360  0.254
C14 2.265 -3.634 -0.122  -1.516
C15 1.924 -4.149 -1.320  -0.369
N6 0.633 -3.766 -1.598  0.668
C16 0.217 -2.998 -0.563  0.235
S2 -1.306 -2.236 -0.361  -0.310
C17 -0.018 -4.240 -2.836  1.111
C18 0.794 -3.699 -4.019  -1.061
C19 0.008 -5.773 -2.822  -1.733
C20 -1.459 -3.764 -2.966  -2.130
C21 2.691 -0.340 1.239  -0.158
S3 2.326 -0.256 -0.438  -0.031
H1 4.579 3.638 1.921  0.469
H2 4.007 2.712 3.302  0.391
H3 2.938 2.990 1.923  0.149
H4 6.580 1.938 1.696  0.470
H5 6.214 0.215 1.627  0.385
H6 5.951 1.126 3.117  0.412
H7 5.289 2.493 -0.174  0.589
H8 3.589 2.080 -0.361  0.273
H9 4.830 0.821 -0.482  0.471
H10 4.091 0.472 4.012  0.581
H11 2.303 -1.564 4.169  0.711
H12 1.760 -3.366 2.446  -0.129
H13 -0.537 -4.454 2.512  0.703
H14 -2.831 -3.702 3.741  0.566
H15 -4.211 -0.972 2.257  0.158
H16 -5.197 -0.590 3.668  0.478
H17 -4.752 -2.256 3.342  0.395
H18 -2.829 0.973 3.374  0.415
H19 -1.936 0.627 4.858  0.429
H20 -3.676 0.883 4.918  0.610
H21 -3.576 -2.711 5.491  0.430
H22 -4.157 -1.152 6.031  0.460
H23 -2.438 -1.534 6.136  0.401
H24 3.177 -3.724 0.429  0.717
H25 2.495 -4.765 -1.978  0.627
H26 1.810 -4.080 -4.021  0.411
H27 0.821 -2.613 -3.976  -0.056
H28 0.319 -3.995 -4.950  0.557
H29 1.023 -6.159 -2.821  0.409
H30 -0.493 -6.148 -3.710  0.463
H31 -0.512 -6.160 -1.949  0.372
H32 -1.511 -2.680 -3.033  0.269
H33 -2.062 -4.105 -2.129  0.531
H34 -1.881 -4.181 -3.877  0.570
N7 2.971 -0.454 -5.234  -0.304
C22 1.731 -0.349 -5.730  0.698
N8 1.538 -0.386 -7.044  -0.406
N9 0.666 -0.218 -4.971  -0.620
C23 0.458 -0.166 -3.737  0.282
N10 0.062 -0.098 -2.637  -0.027
H35 3.771 -0.559 -5.837  0.215
H36 3.126 -0.420 -4.241  0.134
H37 2.301 -0.459 -7.695  0.197
H38 0.600 -0.303 -7.401  0.236
C24 -2.296 3.458 1.488  -1.439
Si1 -1.778 2.684 -0.191  1.565
C25 -3.412 2.006 -1.048  1.677
C26 -3.907 0.841 -0.180  -1.970
C27 -4.522 3.052 -1.136  -1.892
C28 -3.120 1.446 -2.443  -1.445
C29 -0.477 3.894 -1.030  1.986
C30 -0.959 5.341 -1.116  -1.870
C31 -0.093 3.415 -2.432  -1.774
C32 0.787 3.847 -0.163  -1.884
H39 -2.621 4.486 1.346  0.444
H40 -1.477 3.467 2.201  0.428
H41 -3.122 2.929 1.957  0.332
H42 -4.209 1.192 0.804  0.312
H43 -3.132 0.060 -0.061  0.272
'''
_Back to the text_

Get a method and fine tune it till you get reliable results.

And you have to admit, asking for hints on the finer aspects of cloning when you didn't even know if lights were required...that's funny and required comment.


New Member
Yes it is...that's why there several new threads daily asking for cloning help. There are multiple steps and something can go wrong at any stage.

Get a method and fine tune it till you get reliable results.

And you have to admit, asking for hints on the finer aspects of cloning when you didn't even know if lights were required...that's funny and required comment.
People like you really get under my skin man. The informal posting police, here to scrutinise your queries and make remarks about how often something is posted, or how terrible it is for there to be threads, on a forum. Why offer help when you can just pick apart the wording, right? Why couldn't you just post a similar way as the others?

I have multiple cuttings that are all doing fine, so I'm going to say the process is fairly straightforward given Ive never done it before and it's going well. I have a suitable medium. I have healthy new growth tips. I consider lighting and humidity finer details, because, well there isnt anything more to it. now please, go away.


Well-Known Member
First time round I took 5 pieces of very new growth from the near the bottom of my plant which had been preflowering for around 2 weeks and is a female. I intended to use rooting hormone but found it wasn't stocked currently in my town. I did one cut, then carefully lowered the piece into water so the leaves were floating on the surface with the stem submerged, and did a second. They all went into jiffy plugs which are sat in soil with domes made from bottle tops on them. I've been giving them an air out every few hours. They all wilted at first and are now in varying degrees of perkiness. I have been able to have the dome off for extended periods with little to no wilt, which I was unable to do initially. I am hoping this is a good sign.

I've since been gifted some rooting hormone. It's a liquid in a small container. Says its some organic stuff with fungicide. I knew the cuts could root without it but I was worried about the stems rotting.

Light - I don't have anything particularly suitable. I've got my main which is a 400w hps but I see little point running it yet if the cuts aren't even interested in photosynthesis. Would a standard fluorescent bulb, say with a 100w light output, be a suitable choice for cuttings? If so is there any particular time scheme to follow? Do they even need light?
professionals don't clone in soil or rockwool they use an aerocloner. so make one (DIY on Youtube) or buy one or wait for weeks like an amateur. Cuttings need less light. I put mine 3ft from a 600W floro or if you use 400w hps about the same. 18/6 schedule. One last thing.....for the millionth time....cuttings make their own hormone...put the gel back on the shelf.....oh and have a nice day:)


New Member
Doing what I like to call poor mans growing currently. I was aware that the cuttings can root without hormone, as my first batch are doing, but the most essential thing it gives me is the fungicide. I took another group of six this morning, with the hormone. I'm not sure it helps but this will be the test.

I've seen some professional systems but I don't have the cash currently. It doesn't help that I live in a small town where the selection of shops isn't great at all. Sure though, I've been looking up on heating pads today too. Just a matter of things falling into place for me.